Material:
/*
#P
Compound: UTl3Te3
Source: Alexandria via LeMat-Bulk
Functional: PBE-GGA
Structure: relaxed

Summary:
- Magnetization: 0.000 μB/cell

a b c (Å): 7.682 7.682 9.925
angles (deg): 99.53 99.53 110.51
Fractional positions:
U (0.101, 0.101, 0.110)
U (0.899, 0.899, 0.890)
Tl (0.149, 0.851, 0.500)
Tl (0.287, 0.713, 0.000)
Tl (0.404, 0.404, 0.617)
Tl (0.596, 0.596, 0.383)
Tl (0.713, 0.287, 0.000)
Tl (0.851, 0.149, 0.500)
Te (0.119, 0.459, 0.289)
Te (0.229, 0.229, 0.866)
Te (0.459, 0.119, 0.289)
Te (0.541, 0.881, 0.711)
Te (0.771, 0.771, 0.134)
Te (0.881, 0.541, 0.711)

#Q
Compound: UTl3Te3
Source: Alexandria via LeMat-Bulk
Functional: PBE-GGA
Structure: relaxed

Summary:
- Magnetization: 5.736 μB/cell

a b c (Å): 9.557 4.485 13.054
angles (deg): 90.00 99.21 90.00
Fractional positions:
U (0.140, 0.250, 0.132)
U (0.860, 0.750, 0.868)
Tl (0.101, 0.250, 0.637)
Tl (0.357, 0.750, 0.880)
Tl (0.400, 0.750, 0.389)
Tl (0.600, 0.250, 0.611)
Tl (0.643, 0.250, 0.120)
Tl (0.899, 0.750, 0.363)
Te (0.090, 0.250, 0.890)
Te (0.151, 0.250, 0.372)
Te (0.369, 0.750, 0.137)
Te (0.631, 0.250, 0.863)
Te (0.849, 0.750, 0.628)
Te (0.910, 0.750, 0.110)

Least stable structure: #P

#P
Compound: UTl2Te3
Source: Alexandria via LeMat-Bulk
Functional: PBE-GGA
Structure: relaxed

Summary:
- Magnetization: 4.000 μB/cell

a b c (Å): 7.929 7.929 8.451
angles (deg): 98.90 98.90 119.36
Fractional positions:
U (0.169, 0.831, 0.000)
U (0.831, 0.169, 0.000)
Tl (0.000, 0.000, 0.500)
Tl (0.345, 0.655, 0.500)
Tl (0.500, 0.500, 0.000)
Tl (0.655, 0.345, 0.500)
Te (0.059, 0.425, 0.778)
Te (0.205, 0.205, 0.209)
Te (0.425, 0.059, 0.778)
Te (0.575, 0.941, 0.222)
Te (0.795, 0.795, 0.791)
Te (0.941, 0.575, 0.222)

#Q
Compound: UTl2Te3
Source: Alexandria via LeMat-Bulk
Functional: PBE-GGA
Structure: relaxed

Summary:
- Magnetization: 3.999 μB/cell

a b c (Å): 8.057 8.057 7.729
angles (deg): 100.56 100.56 114.02
Fractional positions:
U (0.094, 0.906, 0.750)
U (0.906, 0.094, 0.250)
Tl (0.265, 0.735, 0.250)
Tl (0.424, 0.576, 0.750)
Tl (0.576, 0.424, 0.250)
Tl (0.735, 0.265, 0.750)
Te (0.000, 0.500, 0.500)
Te (0.126, 0.270, 0.993)
Te (0.270, 0.126, 0.493)
Te (0.500, 0.000, 0.000)
Te (0.730, 0.874, 0.507)
Te (0.874, 0.730, 0.007)

Least stable structure: #Q

#P
Compound: TlVTe3
Source: Alexandria via LeMat-Bulk
Functional: PBE-GGA
Structure: relaxed

Summary:
- Magnetization: 0.000 μB/cell

a b c (Å): 8.733 4.143 8.940
angles (deg): 90.00 104.66 90.00
Fractional positions:
Tl (0.130, 0.250, 0.305)
Tl (0.870, 0.750, 0.695)
V (0.419, 0.250, 0.928)
V (0.581, 0.750, 0.072)
Te (0.160, 0.250, 0.678)
Te (0.251, 0.750, 0.018)
Te (0.484, 0.750, 0.749)
Te (0.516, 0.250, 0.251)
Te (0.749, 0.250, 0.982)
Te (0.840, 0.750, 0.322)

#Q
Compound: TlVTe3
Source: Alexandria via LeMat-Bulk
Functional: PBE-GGA
Structure: relaxed

Summary:
- Magnetization: 1.131 μB/cell

a b c (Å): 5.356 5.356 5.356
angles (deg): 90.00 90.00 90.00
Fractional positions:
Tl (0.000, 0.000, 0.000)
V (0.500, 0.500, 0.500)
Te (0.000, 0.500, 0.500)
Te (0.500, 0.000, 0.500)
Te (0.500, 0.500, 0.000)

Least stable structure: #Q

#P
Compound: Tl2VTe
Source: Alexandria via LeMat-Bulk
Functional: PBE-GGA
Structure: relaxed

Summary:
- Magnetization: 6.644 μB/cell

a b c (Å): 12.423 12.423 12.423
angles (deg): 160.13 160.13 28.24
Fractional positions:
Tl (0.125, 0.625, 0.000)
Tl (0.375, 0.375, 0.500)
Tl (0.625, 0.125, 0.000)
Tl (0.875, 0.875, 0.500)
V (0.000, 0.000, 0.000)
V (0.750, 0.250, 0.500)
Te (0.250, 0.750, 0.500)
Te (0.500, 0.500, 0.000)

#Q
Compound: Tl2VTe
Source: Alexandria via LeMat-Bulk
Functional: PBE-GGA
Structure: relaxed

Summary:
- Magnetization: 4.144 μB/cell

a b c (Å): 5.379 5.379 5.379
angles (deg): 60.00 60.00 60.00
Fractional positions:
Tl (0.250, 0.250, 0.250)
Tl (0.750, 0.750, 0.750)
V (0.000, 0.000, 0.000)
Te (0.500, 0.500, 0.500)

Least stable structure: #Q

#P
Compound: TlTeW2
Source: Alexandria via LeMat-Bulk
Functional: PBE-GGA
Structure: relaxed

Summary:
- Magnetization: 0.000 μB/cell
*/
Activity:
Copy the whole of the listing earlier on word for word.
Reply:
#P
Compound: UTl3Te3
Source: Alexandria via LeMat-Bulk
Functional: PBE-GGA
Structure: relaxed

Summary:
- Magnetization: 0.000 μB/cell

a b c (Å): 7.682 7.682 9.925
angles (deg): 99.53 99.53 110.51
Fractional positions:
U (0.101, 0.101, 0.110)
U (0.899, 0.899, 0.890)
Tl (0.149, 0.851, 0.500)
Tl (0.287, 0.713, 0.000)
Tl (0.404, 0.404, 0.617)
Tl (0.596, 0.596, 0.383)
Tl (0.713, 0.287, 0.000)
Tl (0.851, 0.149, 0.500)
Te (0.119, 0.459, 0.289)
Te (0.229, 0.229, 0.866)
Te (0.459, 0.119, 0.289)
Te (0.541, 0.881, 0.711)
Te (0.771, 0.771, 0.134)
Te (0.881, 0.541, 0.711)

#Q
Compound: UTl3Te3
Source: Alexandria via LeMat-Bulk
Functional: PBE-GGA
Structure: relaxed

Summary:
- Magnetization: 5.736 μB/cell

a b c (Å): 9.557 4.485 13.054
angles (deg): 90.00 99.21 90.00
Fractional positions:
U (0.140, 0.250, 0.132)
U (0.860, 0.750, 0.868)
Tl (0.101, 0.250, 0.637)
Tl (0.357, 0.750, 0.880)
Tl (0.400, 0.750, 0.389)
Tl (0.600, 0.250, 0.611)
Tl (0.643, 0.250, 0.120)
Tl (0.899, 0.750, 0.363)
Te (0.090, 0.250, 0.890)
Te (0.151, 0.250, 0.372)
Te (0.369, 0.750, 0.137)
Te (0.631, 0.250, 0.863)
Te (0.849, 0.750, 0.628)
Te (0.910, 0.750, 0.110)

Least stable structure: #P

#P
Compound: UTl2Te3
Source: Alexandria via LeMat-Bulk
Functional: PBE-GGA
Structure: relaxed

Summary:
- Magnetization: 4.000 μB/cell

a b c (Å): 7.929 7.929 8.451
angles (deg): 98.90 98.90 119.36
Fractional positions:
U (0.169, 0.831, 0.000)
U (0.831, 0.169, 0.000)
Tl (0.000, 0.000, 0.500)
Tl (0.345, 0.655, 0.500)
Tl (0.500, 0.500, 0.000)
Tl (0.655, 0.345, 0.500)
Te (0.059, 0.425, 0.778)
Te (0.205, 0.205, 0.209)
Te (0.425, 0.059, 0.778)
Te (0.575, 0.941, 0.222)
Te (0.795, 0.795, 0.791)
Te (0.941, 0.575, 0.222)

#Q
Compound: UTl2Te3
Source: Alexandria via LeMat-Bulk
Functional: PBE-GGA
Structure: relaxed

Summary:
- Magnetization: 3.999 μB/cell

a b c (Å): 8.057 8.057 7.729
angles (deg): 100.56 100.56 114.02
Fractional positions:
U (0.094, 0.906, 0.750)
U (0.906, 0.094, 0.250)
Tl (0.265, 0.735, 0.250)
Tl (0.424, 0.576, 0.750)
Tl (0.576, 0.424, 0.250)
Tl (0.735, 0.265, 0.750)
Te (0.000, 0.500, 0.500)
Te (0.126, 0.270, 0.993)
Te (0.270, 0.126, 0.493)
Te (0.500, 0.000, 0.000)
Te (0.730, 0.874, 0.507)
Te (0.874, 0.730, 0.007)

Least stable structure: #Q

#P
Compound: TlVTe3
Source: Alexandria via LeMat-Bulk
Functional: PBE-GGA
Structure: relaxed

Summary:
- Magnetization: 0.000 μB/cell

a b c (Å): 8.733 4.143 8.940
angles (deg): 90.00 104.66 90.00
Fractional positions:
Tl (0.130, 0.250, 0.305)
Tl (0.870, 0.750, 0.695)
V (0.419, 0.250, 0.928)
V (0.581, 0.750, 0.072)
Te (0.160, 0.250, 0.678)
Te (0.251, 0.750, 0.018)
Te (0.484, 0.750, 0.749)
Te (0.516, 0.250, 0.251)
Te (0.749, 0.250, 0.982)
Te (0.840, 0.750, 0.322)

#Q
Compound: TlVTe3
Source: Alexandria via LeMat-Bulk
Functional: PBE-GGA
Structure: relaxed

Summary:
- Magnetization: 1.131 μB/cell

a b c (Å): 5.356 5.356 5.356
angles (deg): 90.00 90.00 90.00
Fractional positions:
Tl (0.000, 0.000, 0.000)
V (0.500, 0.500, 0.500)
Te (0.000, 0.500, 0.500)
Te (0.500, 0.000, 0.500)
Te (0.500, 0.500, 0.000)

Least stable structure: #Q

#P
Compound: Tl2VTe
Source: Alexandria via LeMat-Bulk
Functional: PBE-GGA
Structure: relaxed

Summary:
- Magnetization: 6.644 μB/cell

a b c (Å): 12.423 12.423 12.423
angles (deg): 160.13 160.13 28.24
Fractional positions:
Tl (0.125, 0.625, 0.000)
Tl (0.375, 0.375, 0.500)
Tl (0.625, 0.125, 0.000)
Tl (0.875, 0.875, 0.500)
V (0.000, 0.000, 0.000)
V (0.750, 0.250, 0.500)
Te (0.250, 0.750, 0.500)
Te (0.500, 0.500, 0.000)

#Q
Compound: Tl2VTe
Source: Alexandria via LeMat-Bulk
Functional: PBE-GGA
Structure: relaxed

Summary:
- Magnetization: 4.144 μB/cell

a b c (Å): 5.379 5.379 5.379
angles (deg): 60.00 60.00 60.00
Fractional positions:
Tl (0.250, 0.250, 0.250)
Tl (0.750, 0.750, 0.750)
V (0.000, 0.000, 0.000)
Te (0.500, 0.500, 0.500)

Least stable structure: #Q

#P
Compound: TlTeW2
Source: Alexandria via LeMat-Bulk
Functional: PBE-GGA
Structure: relaxed

Summary:
- Magnetization: 0.000 μB/cell